**Contents**
Entry 1:
Below is CeMgPd after structural relaxation, with properties calculated at the r²SCAN level.

The structure in POSCAR format:
```
CeMgPd
1.0
3.835 -6.643 0.000
3.835 6.643 0.000
0.000 0.000 4.105
Ce Mg Pd
3 3 3
Cartesian
2.238 3.876 2.053 Ce
2.238 -3.877 2.053 Ce
3.194 0.000 2.053 Ce
5.854 0.000 0.000 Mg
0.908 -1.573 0.000 Mg
4.743 -5.069 0.000 Mg
3.835 -6.642 2.053 Pd
3.835 -2.215 0.000 Pd
3.836 2.214 0.000 Pd
```

Output
ΔH_f (0 K)   -0.6057 eV per atom
Space group   P-62m (189)


Entry 2:
Below is CeMgPt after structural relaxation, with properties calculated at the r²SCAN level.

The structure in POSCAR format:
```
CeMgPt
1.0
4.550 4.280 4.263
-7.093 -1.343 2.226
1.271 -3.364 2.021
Ce Mg Pt
3 3 3
Cartesian
-1.484 1.718 3.793 Ce
-5.199 0.436 3.996 Ce
-2.944 -0.557 0.924 Ce
-4.778 -2.707 2.710 Mg
0.035 -0.984 2.550 Mg
-2.985 0.240 6.487 Mg
-2.579 -1.156 3.909 Pt
4.543 4.278 4.265 Pt
1.305 0.728 4.602 Pt
```

Output
ΔH_f (0 K)   -0.9295 eV per atom
Space group   Amm2 (38)


Entry 3:
Below is CeMgRh after structural relaxation, with properties calculated at the r²SCAN level.

The structure in POSCAR format:
```
CeMgRh
1.0
3.703 -6.412 0.000
3.701 6.413 0.000
0.000 0.000 4.119
Ce Mg Rh
3 3 3
Cartesian
2.163 -3.737 0.000 Ce
5.858 -2.669 0.000 Ce
3.086 -0.004 0.000 Ce
0.872 -1.509 2.060 Mg
4.573 -4.903 2.060 Mg
5.662 0.001 2.060 Mg
3.702 2.138 2.060 Rh
3.702 -2.137 2.060 Rh
3.701 6.413 0.000 Rh
```

Output
ΔH_f (0 K)   -0.5832 eV per atom
Space group   P-6 (174)


Entry 4:
Below is CeMgSi2 after structural relaxation, with properties calculated at the r²SCAN level.

The structure in POSCAR format:
```
CeMgSi2
1.0
4.210 0.000 -0.484
-0.056 4.210 -0.486
0.025 0.021 18.759
Ce Mg Si
4 4 8
Cartesian
2.928 4.029 16.180 Ce
1.905 0.862 7.286 Ce
1.252 0.201 1.608 Ce
2.275 3.369 10.503 Ce
2.629 1.595 13.585 Mg
1.550 2.636 4.204 Mg
0.496 3.701 13.586 Mg
3.683 0.530 4.203 Mg
0.322 1.390 12.069 Si
0.726 1.799 15.585 Si
3.453 2.431 2.204 Si
3.858 2.841 5.720 Si
0.059 1.124 9.785 Si
3.190 2.167 -0.080 Si
4.120 3.106 8.004 Si
0.989 2.064 17.868 Si
```

Output
ΔH_f (0 K)   -0.5785 eV per atom
Space group   C2/m (12)


Entry 5:
Below is Ce2MgSi2 after structural relaxation, with properties calculated at the r²SCAN level.

The structure in POSCAR format:
```
Ce2MgSi2
1.0
4.344 0.000 0.000
0.000 7.385 0.000
0.000 0.000 7.385
Ce Mg Si
4 2 4
Cartesian
2.172 1.328 5.021 Ce
2.172 2.364 1.328 Ce
2.172 5.021 6.056 Ce
2.172 6.056 2.364 Ce
0.000 0.000 0.000 Mg
0.000 3.692 3.692 Mg
0.000 2.846 6.539 Si
0.000 0.846 2.846 Si
0.000 6.538 4.538 Si
0.000 4.538 0.846 Si
```

Output
ΔH_f (0 K)   -0.6574 eV per atom
Space group   P4/mbm (127)


Entry 6:
Below is CeMgSn after structural relaxation, with properties calculated at the r²SCAN level.

The structure in POSCAR format:
```
CeMgSn
1.0
4.673 0.000 0.000
0.000 7.905 0.000
0.000 0.000 8.962
Ce Mg Sn
4 4 4
Cartesian
1.168 0.123 2.876 Ce
1.168 4.075 1.605 Ce
3.505 7.783 6.086 Ce
3.505 3.830 7.357 Ce
1.168 1.215 8.370 Mg
1.168 5.168 5.073 Mg
3.505 6.690 0.592 Mg
3.505 2.737 3.889 Mg
1.168 2.198 5.523 Sn
1.168 6.151 7.920 Sn
3.505 5.707 3.439 Sn
3.505 1.754 1.042 Sn
```

Output
ΔH_f (0 K)   -0.6379 eV per atom
Space group   Pnma (62)


Entry 7:
Below is YbCeMg2 after structural relaxation, with properties calculated at the r²SCAN level.

The structure in POSCAR format:
```
YbCeMg2
1.0
2.087 -3.697 3.255
3.389 1.454 3.875
-1.534 -0.229 5.120
Yb Ce Mg
1 1 2
Cartesian
0.000 0.000 0.000 Yb
1.971 -1.236 6.125 Ce
0.985 -0.618 3.062 Mg
2.956 -1.854 9.187 Mg
```

Output
ΔH_f (0 K)   -0.0279 eV per atom
Space group   Fm-3m (225)


Entry 8:
Below is CeMgZn2 after structural relaxation, with properties calculated at the r²SCAN level.

The structure in POSCAR format:
```
CeMgZn2
1.0
4.238 0.000 2.447
1.413 3.996 2.447
0.000 0.000 4.894
Ce Mg Zn
1 1 2
Cartesian
0.000 0.000 0.000 Ce
2.825 1.998 4.894 Mg
1.413 0.999 2.447 Zn
4.238 2.997 7.340 Zn
```

Output
ΔH_f (0 K)   -0.2776 eV per atom
Space group   Fm-3m (225)

**Request**
Transcribe all of the rows further up word for word.

**Completed**
Entry 1:
Below is CeMgPd after structural relaxation, with properties calculated at the r²SCAN level.

The structure in POSCAR format:
```
CeMgPd
1.0
3.835 -6.643 0.000
3.835 6.643 0.000
0.000 0.000 4.105
Ce Mg Pd
3 3 3
Cartesian
2.238 3.876 2.053 Ce
2.238 -3.877 2.053 Ce
3.194 0.000 2.053 Ce
5.854 0.000 0.000 Mg
0.908 -1.573 0.000 Mg
4.743 -5.069 0.000 Mg
3.835 -6.642 2.053 Pd
3.835 -2.215 0.000 Pd
3.836 2.214 0.000 Pd
```

Output
ΔH_f (0 K)   -0.6057 eV per atom
Space group   P-62m (189)


Entry 2:
Below is CeMgPt after structural relaxation, with properties calculated at the r²SCAN level.

The structure in POSCAR format:
```
CeMgPt
1.0
4.550 4.280 4.263
-7.093 -1.343 2.226
1.271 -3.364 2.021
Ce Mg Pt
3 3 3
Cartesian
-1.484 1.718 3.793 Ce
-5.199 0.436 3.996 Ce
-2.944 -0.557 0.924 Ce
-4.778 -2.707 2.710 Mg
0.035 -0.984 2.550 Mg
-2.985 0.240 6.487 Mg
-2.579 -1.156 3.909 Pt
4.543 4.278 4.265 Pt
1.305 0.728 4.602 Pt
```

Output
ΔH_f (0 K)   -0.9295 eV per atom
Space group   Amm2 (38)


Entry 3:
Below is CeMgRh after structural relaxation, with properties calculated at the r²SCAN level.

The structure in POSCAR format:
```
CeMgRh
1.0
3.703 -6.412 0.000
3.701 6.413 0.000
0.000 0.000 4.119
Ce Mg Rh
3 3 3
Cartesian
2.163 -3.737 0.000 Ce
5.858 -2.669 0.000 Ce
3.086 -0.004 0.000 Ce
0.872 -1.509 2.060 Mg
4.573 -4.903 2.060 Mg
5.662 0.001 2.060 Mg
3.702 2.138 2.060 Rh
3.702 -2.137 2.060 Rh
3.701 6.413 0.000 Rh
```

Output
ΔH_f (0 K)   -0.5832 eV per atom
Space group   P-6 (174)


Entry 4:
Below is CeMgSi2 after structural relaxation, with properties calculated at the r²SCAN level.

The structure in POSCAR format:
```
CeMgSi2
1.0
4.210 0.000 -0.484
-0.056 4.210 -0.486
0.025 0.021 18.759
Ce Mg Si
4 4 8
Cartesian
2.928 4.029 16.180 Ce
1.905 0.862 7.286 Ce
1.252 0.201 1.608 Ce
2.275 3.369 10.503 Ce
2.629 1.595 13.585 Mg
1.550 2.636 4.204 Mg
0.496 3.701 13.586 Mg
3.683 0.530 4.203 Mg
0.322 1.390 12.069 Si
0.726 1.799 15.585 Si
3.453 2.431 2.204 Si
3.858 2.841 5.720 Si
0.059 1.124 9.785 Si
3.190 2.167 -0.080 Si
4.120 3.106 8.004 Si
0.989 2.064 17.868 Si
```

Output
ΔH_f (0 K)   -0.5785 eV per atom
Space group   C2/m (12)


Entry 5:
Below is Ce2MgSi2 after structural relaxation, with properties calculated at the r²SCAN level.

The structure in POSCAR format:
```
Ce2MgSi2
1.0
4.344 0.000 0.000
0.000 7.385 0.000
0.000 0.000 7.385
Ce Mg Si
4 2 4
Cartesian
2.172 1.328 5.021 Ce
2.172 2.364 1.328 Ce
2.172 5.021 6.056 Ce
2.172 6.056 2.364 Ce
0.000 0.000 0.000 Mg
0.000 3.692 3.692 Mg
0.000 2.846 6.539 Si
0.000 0.846 2.846 Si
0.000 6.538 4.538 Si
0.000 4.538 0.846 Si
```

Output
ΔH_f (0 K)   -0.6574 eV per atom
Space group   P4/mbm (127)


Entry 6:
Below is CeMgSn after structural relaxation, with properties calculated at the r²SCAN level.

The structure in POSCAR format:
```
CeMgSn
1.0
4.673 0.000 0.000
0.000 7.905 0.000
0.000 0.000 8.962
Ce Mg Sn
4 4 4
Cartesian
1.168 0.123 2.876 Ce
1.168 4.075 1.605 Ce
3.505 7.783 6.086 Ce
3.505 3.830 7.357 Ce
1.168 1.215 8.370 Mg
1.168 5.168 5.073 Mg
3.505 6.690 0.592 Mg
3.505 2.737 3.889 Mg
1.168 2.198 5.523 Sn
1.168 6.151 7.920 Sn
3.505 5.707 3.439 Sn
3.505 1.754 1.042 Sn
```

Output
ΔH_f (0 K)   -0.6379 eV per atom
Space group   Pnma (62)


Entry 7:
Below is YbCeMg2 after structural relaxation, with properties calculated at the r²SCAN level.

The structure in POSCAR format:
```
YbCeMg2
1.0
2.087 -3.697 3.255
3.389 1.454 3.875
-1.534 -0.229 5.120
Yb Ce Mg
1 1 2
Cartesian
0.000 0.000 0.000 Yb
1.971 -1.236 6.125 Ce
0.985 -0.618 3.062 Mg
2.956 -1.854 9.187 Mg
```

Output
ΔH_f (0 K)   -0.0279 eV per atom
Space group   Fm-3m (225)


Entry 8:
Below is CeMgZn2 after structural relaxation, with properties calculated at the r²SCAN level.

The structure in POSCAR format:
```
CeMgZn2
1.0
4.238 0.000 2.447
1.413 3.996 2.447
0.000 0.000 4.894
Ce Mg Zn
1 1 2
Cartesian
0.000 0.000 0.000 Ce
2.825 1.998 4.894 Mg
1.413 0.999 2.447 Zn
4.238 2.997 7.340 Zn
```

Output
ΔH_f (0 K)   -0.2776 eV per atom
Space group   Fm-3m (225)